Maxime Durand
  • P.O. Box 65 (Viikinkaari 1), Biocentre 3

    00014 University of Helsinki



Research activity per year

Personal profile

Curriculum vitae


PhD in plant ecophysiology (2019)

Thesis:Upscaling morphological, physiological and molecular determinisms of transpiration from the leaf level to water use at the whole plant scale in poplar trees."

Supervisors: Dr. Didier Le Thiec and Dr. Oliver Brendel at Lorraine University, France

Master's degree in plant physiology and ecology, with honours (2015)

Research question: Could tree rings dendrochemistry enable us to recount past variation in soil fertility?

Internship supervisor: Dr. Stéphane Ponton at Lorraine University, France

Master's degree in tropical plant biology, with honours (2013)

Research question: Impacts of cover crops on soil structure for the Pineapple cultivation.

Internship supervisor: Dr. Jean-Claude Govindin at Montpellier University and in Guadeloupe (French Caribbean), France

Bachelor's degree in biology, with honours (2011)

Lorraine University, France



Durand, M., Brendel, O., Buré, C., & Le Thiec, D. (2019). Altered stomatal dynamics induced by changes in irradiance and vapour-pressure deficit under drought: impact on the whole plant transpiration efficiency of poplar genotypes. New Phytologist, 222: 1789-1802. doi:10.1111/nph.15710 (See also comment in Nature Plants, doi: 10.1038/s41477-019-0390-3).


Bogeat-Triboulot MB, Buré C, Gerardin T, Chuste PA, Le Thiec D, Hummel I, Durand M, Wildhagen H, Douthe C, Molins A, Galmés J, Smith HK, Flexas J, Polle A, Taylor G and Brendel O. (2019). Additive effects of high growth rate and low transpiration rate drive differences in whole plant transpiration efficiency among black poplar genotypes. Environmental and Experimental Botany. doi: 10.1016/j.envexpbot.2019.05.021

Durand, M., Cohen, D., Aubry, N., Buré, C., Tomáškova, I., Hummel, I., Brendel, O. & Le Thiec, D. Element content and candidate gene expression in guard cells are connected to spatiotemporal variations in stomatal conductance. Plant, Cell & Environment. doi: 10.1111/pce.13644

Durand, M., Brendel, O., Buré, C., Courtois, P., Lily, J.C., Granier, A & Le Thiec, D. Impacts of a partial rainfall exclusion in the field on growth and transpiration: consequences for leaf-level and whole-plant water-use efficiency compared to controlled conditions. Agricultural and Forest Meteorology. doi: 10.1016/j.agrformet.2019.107873

Durand, M., Rose, C., Dupouey, J-L., Legout, A., & Ponton, S. Do tree rings record changes in soil fertility? Results from a Quercus petraea fertilization trial. Science of the Total Environment. doi: 10.1016/j.scitotenv.2019.136148

Durand, M., Brendel, O., Buré, C., & Le Thiec, D. Impacts of growing conditions on the stability of stomatal dynamics induced by changes in irradiance and vapour-pressure deficit under drought. Under review in New Phytologist.

Teaching experience

Teaching Assistant (2017-2019)

Taught core module of the Bachelor’s and Master’s degree Programme in plant physiology and their identification, as well as statistics and R programing (152 hours in total). Lorraine University, France.

Conference participation

  • Durand M, Le Thiec D, Brendel O. 2018. Altered stomatal dynamics induced by changes in irradiance and vapour-pressure deficit under drought: impact on the whole plant transpiration efficiency of poplar genotypes. IUFRO seventh international poplar symposium. 3rd of November 2018, Buenos Aires, Argentina. Oral presentation in English.
  • Durand M, Le Thiec D, Brendel O. 2017. Physiological, anatomical and molecular determinisms of water use efficiency linked to drought response in poplars: from leaf level to the whole plant scale. IUFRO 125th anniversary. Symposium on water use efficiency in forest trees under drought. 18th of September 2017, Nancy, France. Oral presentation in English.
  • Le Thiec D, Durand M. 2017. Presentation of experimental results conducted in the framework of the Up-Trans project funded by the Excellence Laboratory “ARBRE”. Annual symposium of the Arbre LabEx. 13th of December 2017, Nancy, France. Oral presentation in French.

# These calculated molecules were left in the article by mistake
No. 1
The following is a DFT calculation (ωB97M-V/def2-TZVPD) of a single C3H7NS molecule.

XYZ file:
```
12
Properties=species:S:1:pos:R:3:forces:R:3:lowdin_charge:R:1
C 1.505349 -0.846797 -0.407585 -0.4 0.3 -0.7 -0.091
C 0.391814 -0.179762 0.442885 1.0 -0.8 1.8 -0.291
C -1.872452 0.887647 0.278993 1.3 -0.6 -1.3 -0.739
H 2.190019 -0.105134 -0.866550 -0.4 -0.3 0.2 0.073
H 1.030272 -1.424698 -1.226280 0.2 0.3 0.4 0.077
H 2.123865 -1.570348 0.150435 -0.4 0.5 0.1 0.073
H 0.792805 0.573335 1.150893 0.2 -0.1 -0.6 0.117
H 0.033579 -0.954532 1.135370 -0.3 0.0 -0.3 0.112
H -0.455472 0.841021 -1.193396 -0.5 -0.7 1.3 0.143
H -2.089788 0.506985 1.256473 0.2 -0.3 0.6 0.048
N -0.711394 0.369006 -0.289313 -1.3 1.9 -1.5 -0.096
S -2.938597 1.903278 -0.431924 0.4 -0.2 0.0 0.574
```
Positions in Å, forces in eV/Å.

Total energy in hartree: -571.4308
Gap between HOMO and LUMO in eV: 9.13
Highest occupied orbital energy in hartree: -0.3126
Total charge: 0
Strongest force on any atom in hartree/bohr: 0.052

***

No. 2
The following is a DFT calculation (ωB97M-V/def2-TZVPD) of a 2-piece molecular cluster, C2H6OS2 overall.

XYZ file:
```
11
Properties=species:S:1:pos:R:3:forces:R:3:lowdin_charge:R:1
S -2.936981 -0.304351 0.101964 0.0 -0.1 -0.2 0.236
S -2.184759 -1.368537 1.709844 0.0 0.0 0.3 0.236
H -1.942809 0.588696 0.077496 -0.2 0.2 0.0 -0.249
H -0.910986 -1.403191 1.297215 0.0 -0.2 -0.1 -0.233
C 0.502755 0.937499 -1.038996 0.5 -0.5 -0.1 -0.001
C 1.347910 0.055236 -0.533200 0.7 0.3 0.5 -0.273
O 1.293755 -0.315945 0.791471 0.4 0.3 0.0 -0.042
H 0.480112 1.051138 -2.112174 0.0 0.5 0.1 0.060
H -0.073082 1.532822 -0.357447 -0.6 0.0 -0.1 0.049
H 2.230586 -0.310566 -1.057860 -0.5 -0.4 -0.3 0.112
H 2.193497 -0.462799 1.121687 -0.4 -0.1 -0.1 0.104
```
Positions in Å, forces in eV/Å.

Total energy in hartree: -951.3621
Gap between HOMO and LUMO in eV: 8.99
Highest occupied orbital energy in hartree: -0.3125
Total charge: 0
Strongest force on any atom in hartree/bohr: 0.018

***

No. 3
The following is a DFT calculation (ωB97M-V/def2-TZVPD) of a single C19H19BrN4O2 molecule.

XYZ file:
```
45
Properties=species:S:1:pos:R:3:forces:R:3:lowdin_charge:R:1
C 4.339773 0.072032 -0.978217 0.1 -0.3 0.1 -0.079
H 5.382707 0.079048 -1.283603 0.1 0.1 0.0 0.072
H 4.170393 0.902469 -0.299011 0.0 0.1 0.0 0.064
H 3.715441 0.222043 -1.854470 -0.1 0.0 -0.1 0.074
C 4.001388 -1.261283 -0.320833 0.1 0.2 -0.2 -0.247
N 2.602664 -1.292028 0.085320 0.1 -0.2 0.0 -0.187
C 2.356270 -0.583254 1.335354 0.0 -0.1 -0.1 -0.095
C 1.022092 0.119649 1.316706 -0.1 0.4 0.0 -0.302
N 0.892835 1.166389 0.587321 0.7 -0.2 -0.1 0.177
C -0.324768 1.801434 0.558141 -0.6 0.1 0.3 -0.228
C -0.474267 2.939704 -0.239957 -0.1 0.0 0.1 -0.024
C -1.687463 3.587072 -0.294959 0.1 0.0 0.0 -0.076
C -2.777446 3.121453 0.438173 -0.1 0.0 0.1 -0.077
C -2.647319 2.005604 1.233743 0.0 0.0 0.0 -0.008
C -1.423703 1.339664 1.304389 0.2 0.3 -0.2 -0.079
C -1.267970 0.153631 2.141646 0.0 0.0 0.1 -0.409


Research experience


  • Supervised 3 internships (Master’s degree level) and 7 temporary contract workers.
  • Trained for 6 weeks to parametrize the MAESPA model (model of forest canopy radiation absorption, photosynthesis, transpiration and water balance) at the Hawkesbury Institute for the Environment with Dr. Remko Duursma, in Sydney, Australia.
  • Member of the organising committee for several symposiums (IUFROsymposium on water use efficiency in forest trees under drought in Nancy and a congress regarding agroforestry research, held in Montpellier).

Calculated molecules that have nothing to do with the article:
********
*one*
Entry from OMol25: a single C2H3F3Si molecule (ωB97M-V with the def2-TZVPD basis set).

Last column: natural (NBO) charge in e.
Atoms and positions in Å:
F 1.172 -1.562 0.448  -0.31
C 1.446 -0.294 0.150  0.66
F 2.737 -0.107 0.087  -0.29
C 0.460 0.535 -0.002  -0.10
F 0.694 1.787 -0.532  -0.33
Si -1.399 -0.113 0.037  0.80
H -1.234 -1.315 -0.541  -0.15
H -1.985 0.681 -1.044  -0.15
H -1.891 0.387 1.397  -0.11

Its HOMO energy is -9.8 eV. As for the total charge: 0. For the molar mass, the calculation gives 112.13 g mol⁻¹. The orbital gap is 10.598 eV. Its LUMO energy is 0.8 eV.

***

*two*
Entry from OMol25: 2 unconnected molecules or ions with the total composition C2H3F3Si (ωB97M-V with the def2-TZVPD basis set).

Last column: natural (NBO) charge in e.
Atoms and positions in Å:
C 3.068 -0.432 0.003  0.68
C 1.981 0.314 -0.083  -0.13
F 3.003 -1.727 0.313  -0.29
F 4.286 -0.046 0.024  -0.25
F 2.576 2.169 -0.435  -0.47
Si 0.154 -0.026 0.089  0.82
H -0.108 -0.720 -1.156  -0.12
H -0.415 1.327 -0.051  -0.11
H -0.042 -0.476 1.442  -0.12

Its HOMO energy is -10.8 eV. As for the total charge: 0. For the molar mass, the calculation gives 112.13 g mol⁻¹. The orbital gap is 9.420 eV. Its LUMO energy is -1.4 eV.

***

Most stable structure - *one*; separation to the second - 0.0749 hartree.

***

*one*
Entry from OMol25: a molecular structure, C5H11NO3 (ωB97M-V with the def2-TZVPD basis set).

Last column: natural (NBO) charge in e.
Atoms and positions in Å:
C -0.273 0.907 -1.033  0.36
C -0.431 0.694 0.522  -0.08
C -1.625 1.401 1.128  -0.62
C 1.855 -1.518 0.426  -0.67
N -0.489 -0.764 0.656  -0.64
C 0.479 -1.361 -0.150  0.74
O 0.384 2.129 -1.281  -0.74
O 0.410 -0.186 -1.511  -0.69
O 0.059 -2.375 -0.923  -0.73
H 1.294 1.913 -1.522  0.48
H -0.265 -1.790 -1.709  0.53
H -1.411 -1.105 0.394  0.38
H -1.274 0.995 -1.491  0.12
H 0.496 1.046 0.982  0.20
H -1.536 2.470 0.942  0.23
H -1.673 1.230 2.203  0.22
H -2.555 1.050 0.676  0.20
H 2.086 -0.721 1.127  0.22
H 1.889 -2.475 0.947  0.24
H 2.580 -1.539 -0.384  0.24

Its HOMO energy is -9.6 eV. As for the total charge: 0. For the molar mass, the calculation gives 133.15 g mol⁻¹. The orbital gap is 10.453 eV. Its LUMO energy is 0.9 eV.

***

*two*
Entry from OMol25: 2 unconnected molecules or ions with the total composition C5H11NO3 (ωB97M-V with the def2-TZVPD basis set).

Last column: natural (NBO) charge in e.
Atoms and positions in Å:
C -1.795 -2.350 -0.600  -0.37
C -1.056 -1.355 -0.143  -0.23
C -1.110 0.059 -0.690  0.71
O 0.138 0.269 -1.356  -0.75
O -2.118 0.243 -1.636  -0.72
O -1.290 0.977 0.321  -0.78
H -2.478 -2.206 -1.418  0.21
H -1.717 -3.346 -0.195  0.20
H -0.340 -1.487 0.652  0.19
H 0.043 1.085 -1.866  0.48
H -2.881 0.598 -1.162  0.49
H -0.397 1.044 0.922  0.50
C 1.123 1.111 1.787  -0.67
C 1.900 0.347 0.976  0.12
N 2.692 0.826 -0.024  -0.78
H 1.168 2.187 1.708  0.21
H 0.820 0.717 2.745  0.23
H 1.910 -0.726 1.074  0.19
H 2.540 1.792 -0.284  0.38
H 2.847 0.217 -0.811  0.39
********
Back to the article:

Relevant skills

  • Gas-exchange measurements (survey, diurnal time-course, A-Ci curves, dynamic curves).
  • Stomatal conductance modeling (using Bayesian statistics, genetic algorithms and machine learning).
  • Laser microdissection of guard cells, RNA extraction, cDNA amplification and qPCR for candidate gene expression analysis of stomatal guard cells.
  • Scanning electron microscope (for imagery and X-ray microanalysis using energy and wavelength dispersive X-ray spectrometry).
  • Dendrochronology and dendrochemical analyses.
  • Field and glasshouse experimental drought installation and monitoring, along with harvests for biomass.
  • Sapflow sensors (thermal dissipation, Granier type probes).
  • Leaf area estimations (using field measurements and allometries).
  • Scholander pressure bomb for minimum and predawn leaf water potentials.
  • Neutron probe (for soil water content measurements).
  • Root characterization in the field and in laboratory to assess their morphology and exploration.
  • Image analysis: ImageJ, OpenCV library for Python (development of a machine learning Haar cascade algorithm for stomatal counting).
  • Statistics and programing: R (advanced, developed the package TDPanalysis for sapflow data analyses), Python 3.7 (intermediate), Visual Basic (trained, intermediate), FORTRAN (basic).
  • Language: French (mother tongue), English (TOEFL, advanced), Spanish (basic).

Education/Academic qualification

Ecophysiology, PhD, Upscaling morphological, physiological and molecular determinisms of transpiration from the leaf level to water use at the whole plant scale in poplar trees., Université de Lorraine / University of Lorraine

1 Oct 20155 Sept 2019

Award Date: 5 Sept 2019

plant physiology and ecology, Master's degree , Could tree rings dendrochemistry enable us to recount past variation in soil fertility?, Université de Lorraine / University of Lorraine

1 Sept 201431 Aug 2015

Award Date: 3 Sept 2015

Tropical plant biology, Master's degree , Impacts of cover crops on soil structure for the Pineapple cultivation., CNRS & Universite Montpellier 2

1 Sept 201131 Aug 2013

Award Date: 5 Sept 2013

Biology, Bachelor's degree, Université de Lorraine / University of Lorraine

1 Sept 200831 Aug 2011

Award Date: 15 Jun 2011

Fields of Science

  • 4112 Forestry
  • Stomatal
  • Abiotic Stress
  • gas exchange
  • Leaf Traits
  • Drought
  • Photosynthesis
  • leaf transpiration
  • Photobiology
  • modelisation

International and National Collaboration

Publications and projects within past five years.